Material:
-- begin --
# 1
This record from the Open Molecules 2025 dataset describes a 6-piece molecular cluster, C4H23N3O5 overall. The level of theory is wB97M-V/def2-TZVPD.

Its HOMO energy is -0.562 Ha. The total energy is -706.0332 hartree. Its total charge is +2.

Structure (XYZ):
```
35
C4H23N3O5 wB97M-V/def2-TZVPD
C -1.47 1.32 -1.15
C 0.01 1.06 -1.50
C 0.52 0.23 -0.43
C 0.48 0.66 0.88
N 1.03 -0.38 1.78
N 1.00 -1.00 -0.83
N -2.21 -0.15 -1.41
H -1.70 1.58 -0.10
H -1.85 2.16 -1.83
H 0.55 2.13 -1.39
H 0.11 0.69 -2.56
H 0.20 1.68 1.19
H 1.94 -0.69 1.29
H 1.30 0.00 2.67
H 0.45 -1.02 2.24
H 1.48 -1.73 -0.40
H 0.84 -1.22 -1.77
H -3.23 0.04 -1.51
H -1.74 -0.80 -0.71
H -1.90 -0.44 -2.23
H 1.14 4.67 -1.01
H 1.48 3.93 0.26
O 0.94 3.97 -0.45
H 1.33 -1.47 -4.44
H -0.06 -1.99 -4.29
O 0.66 -1.75 -3.73
H -2.19 -2.19 1.19
H -2.16 -0.59 1.53
O -1.66 -1.39 1.11
H -1.03 0.07 4.17
H -0.83 1.23 3.23
O -0.85 0.27 3.29
H 3.03 -3.06 1.72
H 2.11 -3.12 3.02
O 2.28 -2.71 2.19
```

# 2
This record from the Open Molecules 2025 dataset describes C11H24Cl3N5O7RuS as an isolated structure. The level of theory is wB97M-V/def2-TZVPD.

Its HOMO energy (spin up / spin down) is -0.447 / -0.449 Ha. The spin multiplicity is 2. The total energy is -3107.0743 hartree. Its total charge is +1.

Structure (XYZ):
```
52
C11H24Cl3N5O7RuS wB97M-V/def2-TZVPD
Ru -0.16 0.03 0.31
O -1.34 -0.51 -1.93
Cl -0.86 0.84 -2.13
O -1.21 1.31 -3.39
O -1.40 1.66 -1.09
O 0.57 0.78 -1.98
Cl 1.00 -3.49 2.03
C 1.35 -2.35 3.31
Cl 0.89 -0.65 2.84
H 2.42 -2.39 3.52
H 0.76 -2.64 4.18
C -4.22 -3.98 1.21
N -3.58 -2.71 1.01
C -4.19 -1.55 0.65
C -3.21 -0.60 0.56
N -2.02 -1.19 0.86
C -2.27 -2.45 1.13
H -5.04 -3.89 1.92
H -3.49 -4.70 1.60
H -4.62 -4.36 0.27
H -5.24 -1.48 0.49
H -3.29 0.44 0.31
H -1.54 -3.19 1.41
C 3.46 -0.54 -2.50
N 2.84 -1.10 -1.32
C 3.00 -0.33 -0.12
C 1.74 -1.90 -1.43
N 0.80 -1.86 -0.52
N 1.69 -2.77 -2.48
C 0.43 -3.31 -2.93
C 2.85 -3.56 -2.84
H 3.17 0.50 -2.60
H 3.15 -1.07 -3.40
H 4.55 -0.60 -2.40
H 3.96 0.18 -0.15
H 2.98 -1.00 0.75
H 2.21 0.44 -0.02
H 0.10 -2.58 -0.64
H -0.36 -2.57 -2.83
H 0.16 -4.22 -2.39
H 0.54 -3.57 -3.98
H 3.75 -3.15 -2.40
H 2.95 -3.60 -3.93
H 2.72 -4.58 -2.48
C -1.09 3.77 1.20
S -0.16 2.42 1.89
O -1.10 1.28 2.05
O 0.46 2.81 3.12
O 0.84 1.98 0.87
H -1.87 4.02 1.91
H -1.51 3.40 0.27
H -0.42 4.60 1.04
```

# 3
This record from the Open Molecules 2025 dataset describes C27H57AlBr3Cl3F2KNO8S as an isolated structure. The level of theory is wB97M-V/def2-TZVPD.

Its HOMO energy is -0.188 Ha. The total energy is -12261.7563 hartree.

Structure (XYZ):
```
104
C27H57AlBr3Cl3F2KNO8S wB97M-V/def2-TZVPD
C 4.86 0.37 1.60
C 4.83 0.53 -0.02
C 3.39 0.01 -0.48
C 3.29 -0.44 -2.01
C 4.22 -1.68 -2.44
C 4.22 -2.90 -1.42
C 3.17 -4.04 -1.77
C 1.68 -3.48 -1.88
C 0.80 -3.67 -0.56
C -0.49 -4.61 -0.81
C -1.55 -3.65 -1.58
C -2.59 -3.18 -0.46
N -3.48 -2.03 -0.85
C -3.32 -1.54 -2.26
C -4.30 -0.28 -2.53
F -4.77 -0.30 -3.91
C -3.34 -0.96 0.20
C -1.89 -0.25 0.24
C -1.96 1.29 0.74
C -0.47 1.78 1.29
O 0.21 2.60 0.33
C 0.50 1.89 -0.87
O 0.10 2.32 -1.96
H 5.85 0.74 2.03
H 4.63 -0.72 1.91
H 4.04 1.00 2.08
H 5.68 -0.06 -0.50
H 4.87 1.65 -0.21
H 2.62 0.89 -0.31
H 3.02 -0.84 0.21
H 2.19 -0.56 -2.27
H 3.66 0.46 -2.63
H 3.82 -2.07 -3.45
H 5.28 -1.29 -2.66
H 4.07 -2.63 -0.33
H 5.27 -3.38 -1.48
H 3.21 -4.81 -0.91
H 3.44 -4.60 -2.72
H 1.15 -4.09 -2.70
H 1.61 -2.39 -2.22
H 1.40 -3.98 0.36
H 0.34 -2.64 -0.33
H -0.87 -4.90 0.23
H -0.19 -5.51 -1.44
H -0.90 -2.79 -1.99
H -2.04 -4.27 -2.39
H -3.26 -4.09 -0.25
H -2.02 -3.01 0.52
H -4.46 -2.38 -0.78
H -3.67 -2.35 -3.00
H -2.27 -1.16 -2.50
H -3.63 0.67 -2.38
H -5.14 -0.19 -1.73
H -4.21 -0.20 0.20
H -3.45 -1.50 1.21
H -1.24 -0.86 1.05
H -1.32 -0.30 -0.75
H -2.72 1.33 1.59
H -2.29 1.95 -0.14
H 0.24 0.84 1.55
H -0.63 2.34 2.26
H 1.09 0.91 -0.78
Br 0.93 6.17 2.34
C -0.25 6.01 0.80
C -1.55 6.74 1.02
Br -2.74 5.75 2.20
H -0.38 4.94 0.61
H 0.31 6.45 -0.03
H -2.10 6.84 0.08
H -1.42 7.73 1.46
Cl -0.60 -0.28 2.34
O -3.27 9.13 3.01
S -4.71 9.07 2.71
O -5.33 8.00 3.51
O -4.90 8.78 1.28
-- stop --

Assignment:
Next, set down the lines further above up to the one that holds "1.14 4.67", that line included.

Worked solution:
# 1
This record from the Open Molecules 2025 dataset describes a 6-piece molecular cluster, C4H23N3O5 overall. The level of theory is wB97M-V/def2-TZVPD.

Its HOMO energy is -0.562 Ha. The total energy is -706.0332 hartree. Its total charge is +2.

Structure (XYZ):
```
35
C4H23N3O5 wB97M-V/def2-TZVPD
C -1.47 1.32 -1.15
C 0.01 1.06 -1.50
C 0.52 0.23 -0.43
C 0.48 0.66 0.88
N 1.03 -0.38 1.78
N 1.00 -1.00 -0.83
N -2.21 -0.15 -1.41
H -1.70 1.58 -0.10
H -1.85 2.16 -1.83
H 0.55 2.13 -1.39
H 0.11 0.69 -2.56
H 0.20 1.68 1.19
H 1.94 -0.69 1.29
H 1.30 0.00 2.67
H 0.45 -1.02 2.24
H 1.48 -1.73 -0.40
H 0.84 -1.22 -1.77
H -3.23 0.04 -1.51
H -1.74 -0.80 -0.71
H -1.90 -0.44 -2.23
H 1.14 4.67 -1.01